**Request**
What is needed: retype every line further below that contains the word "Ir".
**Entries**
An optimized crystal structure of CsCo2Ir2S6. Source: Alexandria, functional PBE.

abc: 6.682 6.700 8.832
angles: 116.47 87.11 53.97
Sites, in units of the cell vectors:
S  0.670  0.356  0.118
S  0.980  0.062  0.361
S  0.330  0.644  0.882
S  0.020  0.938  0.639
S  0.283  0.211  0.158
S  0.717  0.789  0.842
Ir  0.745  0.406  0.682
Ir  0.255  0.594  0.318
Cs  0.500  0.000  0.500
Co  0.952  0.903  0.860
Co  0.048  0.097  0.140

**Uncorrected formation energy**: -296 kJ/mol of formula units
**Crystal system**: triclinic
**Total DFT energy (no corrections)**: -60.6 eV per cell
**Volume**: 23.474 Å³ per atom

An optimized crystal structure of Cs2CoIrS4. Source: Alexandria, functional PBE.

abc: 5.241 7.801 12.515
angles: 85.97 77.91 70.37
Sites, in units of the cell vectors:
Ir  0.750  0.500  0.500
Ir  0.000  0.000  0.000
Cs  0.928  0.500  0.144
Cs  0.178  0.000  0.644
Cs  0.572  0.500  0.856
Cs  0.822  0.000  0.356
S  0.598  0.175  0.103
S  0.874  0.675  0.603
S  0.451  0.675  0.397
S  0.876  0.825  0.897
S  0.523  0.325  0.603
S  0.299  0.825  0.103
S  0.152  0.325  0.397
S  0.227  0.175  0.897
Co  0.500  0.000  0.000
Co  0.250  0.500  0.500

**Uncorrected formation energy**: -498 kJ/mol of formula units
**Crystal system**: orthorhombic
**Total DFT energy (no corrections)**: -78.7 eV per cell
**Volume**: 29.451 Å³ per atom

An optimized crystal structure of Cs2CoIrSe4. Source: Alexandria, functional PBE.

abc: 5.408 8.135 12.674
angles: 85.93 77.68 70.59
Sites, in units of the cell vectors:
Ir  0.750  0.500  0.500
Ir  0.000  0.000  0.000
Se  0.593  0.178  0.110
Se  0.157  0.322  0.390
Se  0.881  0.822  0.890
Se  0.297  0.822  0.110
Se  0.869  0.678  0.610
Se  0.230  0.178  0.890
Se  0.453  0.678  0.390
Se  0.520  0.322  0.610
Cs  0.819  0.000  0.363
Cs  0.181  0.000  0.637
Cs  0.931  0.500  0.137
Cs  0.569  0.500  0.863
Co  0.250  0.500  0.500
Co  0.500  0.000  0.000

**Uncorrected formation energy**: -440 kJ/mol of formula units
**Crystal system**: orthorhombic
**Total DFT energy (no corrections)**: -72.3 eV per cell
**Volume**: 32.112 Å³ per atom

----------

# LaAg4Au meta-GGA SCAN single point on PBEsol structure
# energy	-39.93	eV/atom
# energy of formation	-0.31	eV/atom
# density	10.973	g cm⁻³
# total moment	0.00	μB/cell
data_LaAg4Au
_symmetry_space_group_name_H-M 'P 1'
_symmetry_Int_Tables_number 1
_symmetry_space_group_name_Hall 'P 1'
_cell_length_a 5.476
_cell_length_b 5.476
_cell_length_c 5.476
_cell_angle_alpha 60.00
_cell_angle_beta 60.00
_cell_angle_gamma 60.00
loop_
_atom_site_label
_atom_site_fract_x
_atom_site_fract_y
_atom_site_fract_z
Au1 0.750 0.750 0.750
Ag1 0.376 0.376 0.376
Ag2 0.376 0.376 0.873
Ag3 0.873 0.376 0.376
Ag4 0.376 0.873 0.376
La1 0.000 0.000 0.000



# Sr2CuP meta-GGA SCAN single point on PBEsol structure
# energy	-17.45	eV/atom
# energy of formation	0.09	eV/atom
# density	4.836	g cm⁻³
# total moment	0.00	μB/cell
data_Sr2CuP
_symmetry_space_group_name_H-M 'P 1'
_symmetry_Int_Tables_number 1
_symmetry_space_group_name_Hall 'P 1'
_cell_length_a 5.079
_cell_length_b 5.079
_cell_length_c 5.079
_cell_angle_alpha 60.00
_cell_angle_beta 60.00
_cell_angle_gamma 60.00
loop_
_atom_site_label
_atom_site_fract_x
_atom_site_fract_y
_atom_site_fract_z
Cu1 0.500 0.500 0.500
P1 0.250 0.250 0.250
Sr1 0.000 0.000 0.000
Sr2 0.750 0.750 0.750



# LiC4 meta-GGA SCAN single point on PBEsol structure
# energy	-7.45	eV/atom
# energy of formation	1.11	eV/atom
# density	2.598	g cm⁻³
# total moment	0.00	μB/cell
data_LiC4
_symmetry_space_group_name_H-M 'P 1'
_symmetry_Int_Tables_number 1
_symmetry_space_group_name_Hall 'P 1'
_cell_length_a 2.454
_cell_length_b 2.454
_cell_length_c 6.737
_cell_angle_alpha 90.00
_cell_angle_beta 90.00
_cell_angle_gamma 120.00
loop_
_atom_site_label
_atom_site_fract_x
_atom_site_fract_y
_atom_site_fract_z
C1 0.333 0.667 0.238
C2 0.667 0.333 0.762
C3 0.333 0.667 0.458
C4 0.667 0.333 0.542
Li1 0.000 0.000 0.000
**Reply**
Ir  0.745  0.406  0.682
Ir  0.255  0.594  0.318
Ir  0.750  0.500  0.500
Ir  0.000  0.000  0.000
Ir  0.750  0.500  0.500
Ir  0.000  0.000  0.000